Material:
- - -
(1)
Computed PXRD pattern of SiH2F4 for λ = 1.5418 Å (Cu Kα), from a structure optimized by DFT (PBE).
Intensities are scaled so that the largest is 100.

Crystal structure
Cell lengths 4.6089, 4.6089, 11.6244 Å; angles 90.00, 90.00, 90.00 degrees
Space group I-42m (No. 121)
Inequivalent atoms, fractional coordinates:
Si (0.0000, 0.0000, 0.0000) x2
H (0.0000, 0.5000, 0.2500) x4
F (0.1997, 0.1997, 0.0773) x8

Largest 10 diffraction maxima, low angle first, 10 to 90 degrees two-theta:
- hkl 0 0 2, 15.2°, intensity 100
- hkl 1 0 1, 20.7°, intensity 100
- hkl 1 1 0, 27.4°, intensity 10
- hkl 1 0 3, 30.1°, intensity 14
- hkl 1 1 2, 31.5°, intensity 60
- hkl 1 1 4, 41.6°, intensity 26
- hkl 2 1 3, 50.1°, intensity 15
- hkl 2 0 4, 50.5°, intensity 8
- hkl 2 1 5, 60.0°, intensity 8
- hkl 2 0 6, 62.6°, intensity 10

(2)
Computed PXRD pattern of SnH2F2 for λ = 1.5418 Å (Cu Kα), from a structure optimized by DFT (PBE).
Intensities are scaled so that the largest is 100.

Crystal structure
Cell lengths 5.3289, 5.3315, 6.1633 Å; angles 90.05, 106.01, 90.00 degrees
Space group P1 (No. 1)
Inequivalent atoms, fractional coordinates:
Sn (0.0000, 0.0000, 0.0000) x1
Sn (0.3863, 0.4997, 0.6807) x1
H (0.5906, 0.1490, 0.3037) x1
H (0.6197, 0.0638, 0.4047) x1
H (0.7669, 0.5639, 0.2759) x1
H (0.7960, 0.6491, 0.3772) x1
F (0.1209, 0.1765, 0.7394) x1
F (0.2654, 0.6767, 0.9412) x1
F (0.6737, 0.3061, 0.9269) x1
F (0.7127, 0.8060, 0.7537) x1

Largest 10 diffraction maxima, low angle first, 10 to 90 degrees two-theta:
- hkl 0 0 1, 15.0°, intensity 100
- hkl 1 0 -1, 19.5°, intensity 25
- hkl 0 1 1, 22.4°, intensity 71
- hkl 1 1 0, 24.1°, intensity 97
- hkl 1 1 -1, 25.8°, intensity 63
- hkl 1 0 1, 25.9°, intensity 37
- hkl 1 0 -2, 30.4°, intensity 27
- hkl 0 1 -2, 34.6°, intensity 26
- hkl 1 2 1, 42.9°, intensity 26
- hkl 0 0 3, 46.0°, intensity 31

(3)
Computed PXRD pattern of SnH3F9 for λ = 1.5418 Å (Cu Kα), from a structure optimized by DFT (PBE).
Intensities are scaled so that the largest is 100.

Crystal structure
Cell lengths 13.3794, 7.6093, 8.0056 Å; angles 90.00, 122.69, 90.00 degrees
Space group Cc (No. 9)
Inequivalent atoms, fractional coordinates:
Sn (0.0000, 0.2286, 0.0000) x4
H (0.0143, 0.4590, 0.7061) x4
H (0.0548, 0.1030, 0.3884) x4
H (0.2647, 0.3268, 0.1365) x4
F (0.0203, 0.0376, 0.4886) x4
F (0.0619, 0.4791, 0.1487) x4
F (0.0905, 0.1606, 0.3069) x4
F (0.1586, 0.2294, 0.0330) x4
F (0.2712, 0.2699, 0.7729) x4
F (0.2810, 0.0905, 0.8330) x4
F (0.3401, 0.3969, 0.2059) x4
F (0.3641, 0.2318, 0.5176) x4
F (0.4554, 0.1114, 0.2655) x4

Largest 10 diffraction maxima, low angle first, 10 to 90 degrees two-theta:
- hkl 2 0 0, 15.7°, intensity 48
- hkl 1 1 -1, 16.1°, intensity 100
- hkl 1 1 1, 22.0°, intensity 53
- hkl 2 0 -2, 22.3°, intensity 28
- hkl 3 1 -1, 23.1°, intensity 53
- hkl 0 2 0, 23.4°, intensity 20
- hkl 0 2 2, 35.6°, intensity 14
- hkl 1 1 -3, 38.3°, intensity 19
- hkl 1 3 1, 40.3°, intensity 26
- hkl 6 0 -2, 40.5°, intensity 15

(4)
Computed PXRD pattern of SrH2F4 for λ = 1.5418 Å (Cu Kα), from a structure optimized by DFT (PBE).
Intensities are scaled so that the largest is 100.

Crystal structure
Cell lengths 11.1994, 4.9310, 8.4434 Å; angles 90.00, 131.43, 90.00 degrees
Space group C2/c (No. 15)
Inequivalent atoms, fractional coordinates:
Sr (0.0000, 0.1250, 0.2500) x4
H (0.0000, 0.5000, 0.0000) x4
H (0.2500, 0.2500, 0.0000) x4
F (0.0082, 0.2719, 0.5339) x8
F (0.2246, 0.4781, 0.9661) x8

Largest 10 diffraction maxima, low angle first, 10 to 90 degrees two-theta:
- hkl 1 1 0, 20.9°, intensity 58
- hkl 2 0 0, 21.2°, intensity 100
- hkl 1 1 1, 29.0°, intensity 39
- hkl 3 1 -2, 30.9°, intensity 43
- hkl 3 1 -3, 37.0°, intensity 32
- hkl 0 2 1, 39.2°, intensity 21
- hkl 1 1 -3, 40.9°, intensity 35
- hkl 4 0 0, 43.1°, intensity 47
- hkl 5 1 -3, 45.0°, intensity 22
- hkl 2 2 1, 49.6°, intensity 27

(5)
Computed PXRD pattern of SrHF4 for λ = 1.5418 Å (Cu Kα), from a structure optimized by DFT (PBE).
- - -

Work order:
Next, start at the top of the lines further above and transcribe each line, ending with the one that has "62.6°, intensity".

Outcome:
(1)
Computed PXRD pattern of SiH2F4 for λ = 1.5418 Å (Cu Kα), from a structure optimized by DFT (PBE).
Intensities are scaled so that the largest is 100.

Crystal structure
Cell lengths 4.6089, 4.6089, 11.6244 Å; angles 90.00, 90.00, 90.00 degrees
Space group I-42m (No. 121)
Inequivalent atoms, fractional coordinates:
Si (0.0000, 0.0000, 0.0000) x2
H (0.0000, 0.5000, 0.2500) x4
F (0.1997, 0.1997, 0.0773) x8

Largest 10 diffraction maxima, low angle first, 10 to 90 degrees two-theta:
- hkl 0 0 2, 15.2°, intensity 100
- hkl 1 0 1, 20.7°, intensity 100
- hkl 1 1 0, 27.4°, intensity 10
- hkl 1 0 3, 30.1°, intensity 14
- hkl 1 1 2, 31.5°, intensity 60
- hkl 1 1 4, 41.6°, intensity 26
- hkl 2 1 3, 50.1°, intensity 15
- hkl 2 0 4, 50.5°, intensity 8
- hkl 2 1 5, 60.0°, intensity 8
- hkl 2 0 6, 62.6°, intensity 10